(Work order)
What is needed: duplicate the lines below up to the one that holds "intensity 68,", that line included.
(Contents)
┌──
Record 1
For Tl2CuI8N4, a structure optimized by DFT (GGA-PBE) gives the computed powder XRD pattern in this record (λ = 1.5418 Å (Cu Kα)).
Intensities are scaled so that the largest is 100.

Cell and atoms:
abc: 7.663 14.614 11.293
angles: 90.00 110.89 90.00
Space group P2_1/c (No. 14)
Symmetry-distinct sites (fractional):
Tl 0.183 0.187 0.000 x4
Cu 0.500 0.000 0.500 x2
I 0.149 0.632 0.467 x4
I 0.175 0.108 0.450 x4
I 0.204 0.122 0.771 x4
I 0.486 0.652 0.284 x4
N 0.274 0.656 0.853 x4
N 0.359 0.593 0.887 x4

Main lines, most intense first (10° ≤ 2θ ≤ 80°):
hkl 0 4 0, 2θ = 24.32°, intensity 100; hkl 1 1 0, 2θ = 13.77°, intensity 94; hkl 0 3 1, 2θ = 20.08°, intensity 71; hkl 2 0 -2, 2θ = 24.62°, intensity 53; hkl 2 2 -1, 2θ = 26.27°, intensity 43; hkl 3 0 0, 2θ = 37.69°, intensity 38; hkl 1 2 -3, 2θ = 26.86°, intensity 38; hkl 3 0 -4, 2θ = 40.95°, intensity 37; hkl 1 4 -1, 2θ = 27.34°, intensity 37; hkl 0 0 4, 2θ = 33.98°, intensity 34



Record 2
For NdInRh, a structure optimized by DFT (GGA-PBE) gives the computed powder XRD pattern in this record (λ = 1.5418 Å (Cu Kα)).
Intensities are scaled so that the largest is 100.

Cell and atoms:
abc: 7.6353 7.6353 4.0841
angles: 90.00 90.00 120.00
Space group P-62m (No. 189)
Symmetry-distinct sites (fractional):
Nd 0.0000 0.5856 0.0000 x3
In 0.0000 0.2478 0.5000 x3
Rh 0.0000 0.0000 0.0000 x1
Rh 0.3333 0.6667 0.5000 x2

Main lines, most intense first (10° ≤ 2θ ≤ 80°):
hkl 2 0 1, 2θ = 34.92°, intensity 100; hkl 1 1 1, 2θ = 32.09°, intensity 96; hkl 2 1 0, 2θ = 35.93°, intensity 54; hkl 3 2 1, 2θ = 65.66°, intensity 30; hkl 3 0 0, 2θ = 40.95°, intensity 29; hkl 0 0 2, 2θ = 44.36°, intensity 28; hkl 2 1 2, 2θ = 58.35°, intensity 26; hkl 2 1 1, 2θ = 42.40°, intensity 25; hkl 3 1 1, 2θ = 54.88°, intensity 19; hkl 2 0 3, 2θ = 75.55°, intensity 17



Record 3
For BeSiAs2, a structure optimized by DFT (GGA-PBE) gives the computed powder XRD pattern in this record (λ = 1.5418 Å (Cu Kα)).
Intensities are scaled so that the largest is 100.

Cell and atoms:
abc: 5.384 5.384 10.697
angles: 90.00 90.00 90.00
Space group I-42d (No. 122)
Symmetry-distinct sites (fractional):
Be 0.000 0.000 0.000 x4
Si 0.000 0.000 0.500 x4
As 0.231 0.750 0.125 x8

Main lines, most intense first (10° ≤ 2θ ≤ 80°):
hkl 1 1 2, 2θ = 28.78°, intensity 100; hkl 2 0 4, 2θ = 47.95°, intensity 33; hkl 3 1 2, 2θ = 56.74°, intensity 27; hkl 2 0 0, 2θ = 33.28°, intensity 19; hkl 2 2 0, 2θ = 47.78°, intensity 17; hkl 1 1 6, 2θ = 57.04°, intensity 14; hkl 3 1 6, 2θ = 77.53°, intensity 11; hkl 0 0 4, 2θ = 33.51°, intensity 10; hkl 2 2 4, 2θ = 59.62°, intensity 7; hkl 3 3 2, 2θ = 77.27°, intensity 5

~~~~~

[1]
# KSbAsO4F2
Computed powder diffraction line list, Cu Ka. Input: DFT lattice parameters and positions (GGA-PBE).
No peak broadening, texture or thermal motion is included.

Structural model:
abc: 7.1748 7.9361 10.8826
angles: 90.00 98.25 90.00
Space group P2_1/c (No. 14)
One atom of each set of equivalent atoms:
K1 0.2482 0.0834 0.0244 (multiplicity 4)
Sb1 0.2317 0.6148 0.8573 (multiplicity 4)
As1 0.3210 0.5511 0.1756 (multiplicity 4)
O1 0.2276 0.0075 0.5229 (multiplicity 4)
O2 0.2334 0.0773 0.7749 (multiplicity 4)
O3 0.2577 0.7350 0.6915 (multiplicity 4)
O4 0.4309 0.0566 0.3125 (multiplicity 4)
F1 0.0573 0.7070 0.4065 (multiplicity 4)
F2 0.4294 0.7348 0.4378 (multiplicity 4)

Largest 12 diffraction maxima, most intense first, 2θ from 10° to 90°:
16.75 deg, intensity 100, hkl 1 1 0
27.26 deg, intensity 92, hkl 0 1 3
25.08 deg, intensity 88, hkl 2 0 0
26.47 deg, intensity 79, hkl 1 2 -1
13.86 deg, intensity 68, hkl 0 1 1
34.74 deg, intensity 48, hkl 1 2 -3
19.93 deg, intensity 40, hkl 0 1 2
35.78 deg, intensity 35, hkl 1 1 -4
27.69 deg, intensity 31, hkl 2 1 -1
44.32 deg, intensity 30, hkl 3 2 -1
48.67 deg, intensity 25, hkl 1 3 -4
31.58 deg, intensity 23, hkl 1 1 3



[2]
# KRb2AsF6
Computed powder diffraction line list, Cu Ka. Input: DFT lattice parameters and positions (GGA-PBE).
└──
(Done)
Record 1
For Tl2CuI8N4, a structure optimized by DFT (GGA-PBE) gives the computed powder XRD pattern in this record (λ = 1.5418 Å (Cu Kα)).
Intensities are scaled so that the largest is 100.

Cell and atoms:
abc: 7.663 14.614 11.293
angles: 90.00 110.89 90.00
Space group P2_1/c (No. 14)
Symmetry-distinct sites (fractional):
Tl 0.183 0.187 0.000 x4
Cu 0.500 0.000 0.500 x2
I 0.149 0.632 0.467 x4
I 0.175 0.108 0.450 x4
I 0.204 0.122 0.771 x4
I 0.486 0.652 0.284 x4
N 0.274 0.656 0.853 x4
N 0.359 0.593 0.887 x4

Main lines, most intense first (10° ≤ 2θ ≤ 80°):
hkl 0 4 0, 2θ = 24.32°, intensity 100; hkl 1 1 0, 2θ = 13.77°, intensity 94; hkl 0 3 1, 2θ = 20.08°, intensity 71; hkl 2 0 -2, 2θ = 24.62°, intensity 53; hkl 2 2 -1, 2θ = 26.27°, intensity 43; hkl 3 0 0, 2θ = 37.69°, intensity 38; hkl 1 2 -3, 2θ = 26.86°, intensity 38; hkl 3 0 -4, 2θ = 40.95°, intensity 37; hkl 1 4 -1, 2θ = 27.34°, intensity 37; hkl 0 0 4, 2θ = 33.98°, intensity 34



Record 2
For NdInRh, a structure optimized by DFT (GGA-PBE) gives the computed powder XRD pattern in this record (λ = 1.5418 Å (Cu Kα)).
Intensities are scaled so that the largest is 100.

Cell and atoms:
abc: 7.6353 7.6353 4.0841
angles: 90.00 90.00 120.00
Space group P-62m (No. 189)
Symmetry-distinct sites (fractional):
Nd 0.0000 0.5856 0.0000 x3
In 0.0000 0.2478 0.5000 x3
Rh 0.0000 0.0000 0.0000 x1
Rh 0.3333 0.6667 0.5000 x2

Main lines, most intense first (10° ≤ 2θ ≤ 80°):
hkl 2 0 1, 2θ = 34.92°, intensity 100; hkl 1 1 1, 2θ = 32.09°, intensity 96; hkl 2 1 0, 2θ = 35.93°, intensity 54; hkl 3 2 1, 2θ = 65.66°, intensity 30; hkl 3 0 0, 2θ = 40.95°, intensity 29; hkl 0 0 2, 2θ = 44.36°, intensity 28; hkl 2 1 2, 2θ = 58.35°, intensity 26; hkl 2 1 1, 2θ = 42.40°, intensity 25; hkl 3 1 1, 2θ = 54.88°, intensity 19; hkl 2 0 3, 2θ = 75.55°, intensity 17



Record 3
For BeSiAs2, a structure optimized by DFT (GGA-PBE) gives the computed powder XRD pattern in this record (λ = 1.5418 Å (Cu Kα)).
Intensities are scaled so that the largest is 100.

Cell and atoms:
abc: 5.384 5.384 10.697
angles: 90.00 90.00 90.00
Space group I-42d (No. 122)
Symmetry-distinct sites (fractional):
Be 0.000 0.000 0.000 x4
Si 0.000 0.000 0.500 x4
As 0.231 0.750 0.125 x8

Main lines, most intense first (10° ≤ 2θ ≤ 80°):
hkl 1 1 2, 2θ = 28.78°, intensity 100; hkl 2 0 4, 2θ = 47.95°, intensity 33; hkl 3 1 2, 2θ = 56.74°, intensity 27; hkl 2 0 0, 2θ = 33.28°, intensity 19; hkl 2 2 0, 2θ = 47.78°, intensity 17; hkl 1 1 6, 2θ = 57.04°, intensity 14; hkl 3 1 6, 2θ = 77.53°, intensity 11; hkl 0 0 4, 2θ = 33.51°, intensity 10; hkl 2 2 4, 2θ = 59.62°, intensity 7; hkl 3 3 2, 2θ = 77.27°, intensity 5

~~~~~

[1]
# KSbAsO4F2
Computed powder diffraction line list, Cu Ka. Input: DFT lattice parameters and positions (GGA-PBE).
No peak broadening, texture or thermal motion is included.

Structural model:
abc: 7.1748 7.9361 10.8826
angles: 90.00 98.25 90.00
Space group P2_1/c (No. 14)
One atom of each set of equivalent atoms:
K1 0.2482 0.0834 0.0244 (multiplicity 4)
Sb1 0.2317 0.6148 0.8573 (multiplicity 4)
As1 0.3210 0.5511 0.1756 (multiplicity 4)
O1 0.2276 0.0075 0.5229 (multiplicity 4)
O2 0.2334 0.0773 0.7749 (multiplicity 4)
O3 0.2577 0.7350 0.6915 (multiplicity 4)
O4 0.4309 0.0566 0.3125 (multiplicity 4)
F1 0.0573 0.7070 0.4065 (multiplicity 4)
F2 0.4294 0.7348 0.4378 (multiplicity 4)

Largest 12 diffraction maxima, most intense first, 2θ from 10° to 90°:
16.75 deg, intensity 100, hkl 1 1 0
27.26 deg, intensity 92, hkl 0 1 3
25.08 deg, intensity 88, hkl 2 0 0
26.47 deg, intensity 79, hkl 1 2 -1
13.86 deg, intensity 68, hkl 0 1 1